Set down the whole of the rows underneath word for word.

........
Compound: ZrScTlZn
Source: Alexandria via LeMat-Bulk
Functional: PBE
Structure: relaxed

Calculated values
ΔE_f: -233 meV/atom
SG: P4mm, No. 99
crystal system: tetragonal
E_tot: -19.5 eV for the cell shown
calculated volume: 83 Å³ per cell
energy above the most stable polymorph in this dataset: 0 meV/atom

Structure (POSCAR):
```
ZrScTlZn
1.0
-2.658 2.140 -0.064
-1.802 -2.291 -1.776
-2.423 -2.826 6.105
Zn Tl Zr Sc
1 1 1 1
direct
0.500 0.500 0.103 Zn
0.500 0.500 0.613 Tl
0.000 0.000 0.334 Zr
0.000 0.000 0.878 Sc
```



Compound: ScHgB
Source: Alexandria via LeMat-Bulk
Functional: PBE
Structure: relaxed

Calculated values
ΔE_f: 241 meV/atom
SG: P4/nmm, No. 129
crystal system: tetragonal
E_tot: -25.2 eV for the cell shown
calculated volume: 107 Å³ per cell
energy above the most stable polymorph in this dataset: 753 meV/atom

Structure (POSCAR):
```
ScHgB
1.0
4.152 0.000 0.000
0.000 4.152 0.000
0.000 0.000 6.230
B Sc Hg
2 2 2
direct
0.000 0.000 0.500 B
0.500 0.500 0.500 B
0.000 0.500 0.319 Sc
0.500 0.000 0.681 Sc
0.500 0.000 0.156 Hg
0.000 0.500 0.844 Hg
```



Compound: MnZnSeBr2
Source: Alexandria via LeMat-Bulk
Functional: PBE
Structure: relaxed

Calculated values
formation energy (no corrections): 0.1064 eV per atom
SG: P4/mmm, No. 123
crystal system: tetragonal
E_tot: -16.7 eV for the cell shown
calculated volume: 131 Å³ per cell
energy above the most stable polymorph in this dataset: 0 meV/atom

Structure (POSCAR):
```
MnZnSeBr2
1.0
-0.144 4.367 2.419
-4.834 -0.728 1.027
1.313 -2.428 4.461
Mn Se Br Zn
1 1 2 1
direct
0.500 0.500 0.500 Mn
0.000 0.000 0.500 Se
0.000 0.500 0.000 Br
0.500 0.000 0.000 Br
0.000 0.000 0.000 Zn
```



Compound: BeAg2Mo
Source: Alexandria via LeMat-Bulk
Functional: PBE
Structure: relaxed

Calculated values
ΔE_f: 454 meV/atom
SG: Immm, No. 71
crystal system: orthorhombic
E_tot: -18.4 eV for the cell shown
calculated volume: 60 Å³ per cell

Structure (POSCAR):
```
BeAg2Mo
1.0
5.485 -0.016 0.015
4.823 2.612 0.015
1.914 0.482 4.152
Mo Ag Be
1 2 1
direct
0.750 0.750 0.750 Mo
0.962 0.962 0.038 Ag
0.538 0.538 0.462 Ag
0.250 0.250 0.250 Be
```



Compound: NaTeRuN2
Source: Alexandria via LeMat-Bulk
Functional: PBE
Structure: relaxed

Calculated values
formation energy (no corrections): 0.5896 eV per atom
SG: P4/mmm, No. 123
crystal system: tetragonal
E_tot: -27.4 eV for the cell shown
calculated volume: 87 Å³ per cell
energy above the most stable polymorph in this dataset: 0 meV/atom

Structure (POSCAR):
```
NaTeRuN2
1.0
-1.962 2.095 -2.645
-3.314 -0.624 1.965
0.929 4.751 3.075
N Na Te Ru
2 1 1 1
direct
0.000 0.500 0.000 N
0.500 0.000 0.000 N
0.500 0.500 0.500 Na
0.000 0.000 0.500 Te
0.000 0.000 0.000 Ru
```



Compound: La2In2Au
Source: Alexandria via LeMat-Bulk
Functional: PBE
Structure: relaxed

Calculated values
ΔE_f: -611 meV/atom
SG: C2/m, No. 12
crystal system: monoclinic
E_tot: -43.3 eV for the cell shown
calculated volume: 288 Å³ per cell
energy above the most stable polymorph in this dataset: 0 meV/atom

Structure (POSCAR):
```
La2In2Au
1.0
4.804 0.000 0.000
2.402 5.713 -0.361
2.402 0.279 10.464
La In Au
4 4 2
direct
0.935 0.249 0.882 La
0.682 0.305 0.331 La
0.065 0.751 0.118 La
0.318 0.695 0.669 La
0.909 0.736 0.445 In
0.091 0.264 0.555 In
0.358 0.174 0.110 In
0.642 0.826 0.890 In
0.388 0.891 0.334 Au
0.612 0.109 0.666 Au
```



Compound: Ca2TaSe
Source: Alexandria via LeMat-Bulk
Functional: PBE
Structure: relaxed

Calculated values
formation energy (no corrections): 0.3523 eV per atom
SG: I4/mmm, No. 139
crystal system: tetragonal
E_tot: -17.9 eV for the cell shown
calculated volume: 96 Å³ per cell

Structure (POSCAR):
```
Ca2TaSe
1.0
5.831 0.020 0.000
2.487 5.274 0.000
-4.159 -2.647 3.114
Ta Ca Se
1 2 1
direct
0.750 0.250 0.500 Ta
0.500 0.500 0.000 Ca
0.000 0.000 0.000 Ca
0.250 0.750 0.500 Se
```



Compound: ErSc3Cd4
Source: Alexandria via LeMat-Bulk
Functional: PBE
Structure: relaxed

Calculated values
ΔE_f: -292 meV/atom
SG: P4/mmm, No. 123
crystal system: tetragonal
........

Compound: ZrScTlZn
Source: Alexandria via LeMat-Bulk
Functional: PBE
Structure: relaxed

Calculated values
ΔE_f: -233 meV/atom
SG: P4mm, No. 99
crystal system: tetragonal
E_tot: -19.5 eV for the cell shown
calculated volume: 83 Å³ per cell
energy above the most stable polymorph in this dataset: 0 meV/atom

Structure (POSCAR):
```
ZrScTlZn
1.0
-2.658 2.140 -0.064
-1.802 -2.291 -1.776
-2.423 -2.826 6.105
Zn Tl Zr Sc
1 1 1 1
direct
0.500 0.500 0.103 Zn
0.500 0.500 0.613 Tl
0.000 0.000 0.334 Zr
0.000 0.000 0.878 Sc
```



Compound: ScHgB
Source: Alexandria via LeMat-Bulk
Functional: PBE
Structure: relaxed

Calculated values
ΔE_f: 241 meV/atom
SG: P4/nmm, No. 129
crystal system: tetragonal
E_tot: -25.2 eV for the cell shown
calculated volume: 107 Å³ per cell
energy above the most stable polymorph in this dataset: 753 meV/atom

Structure (POSCAR):
```
ScHgB
1.0
4.152 0.000 0.000
0.000 4.152 0.000
0.000 0.000 6.230
B Sc Hg
2 2 2
direct
0.000 0.000 0.500 B
0.500 0.500 0.500 B
0.000 0.500 0.319 Sc
0.500 0.000 0.681 Sc
0.500 0.000 0.156 Hg
0.000 0.500 0.844 Hg
```



Compound: MnZnSeBr2
Source: Alexandria via LeMat-Bulk
Functional: PBE
Structure: relaxed

Calculated values
formation energy (no corrections): 0.1064 eV per atom
SG: P4/mmm, No. 123
crystal system: tetragonal
E_tot: -16.7 eV for the cell shown
calculated volume: 131 Å³ per cell
energy above the most stable polymorph in this dataset: 0 meV/atom

Structure (POSCAR):
```
MnZnSeBr2
1.0
-0.144 4.367 2.419
-4.834 -0.728 1.027
1.313 -2.428 4.461
Mn Se Br Zn
1 1 2 1
direct
0.500 0.500 0.500 Mn
0.000 0.000 0.500 Se
0.000 0.500 0.000 Br
0.500 0.000 0.000 Br
0.000 0.000 0.000 Zn
```



Compound: BeAg2Mo
Source: Alexandria via LeMat-Bulk
Functional: PBE
Structure: relaxed

Calculated values
ΔE_f: 454 meV/atom
SG: Immm, No. 71
crystal system: orthorhombic
E_tot: -18.4 eV for the cell shown
calculated volume: 60 Å³ per cell

Structure (POSCAR):
```
BeAg2Mo
1.0
5.485 -0.016 0.015
4.823 2.612 0.015
1.914 0.482 4.152
Mo Ag Be
1 2 1
direct
0.750 0.750 0.750 Mo
0.962 0.962 0.038 Ag
0.538 0.538 0.462 Ag
0.250 0.250 0.250 Be
```



Compound: NaTeRuN2
Source: Alexandria via LeMat-Bulk
Functional: PBE
Structure: relaxed

Calculated values
formation energy (no corrections): 0.5896 eV per atom
SG: P4/mmm, No. 123
crystal system: tetragonal
E_tot: -27.4 eV for the cell shown
calculated volume: 87 Å³ per cell
energy above the most stable polymorph in this dataset: 0 meV/atom

Structure (POSCAR):
```
NaTeRuN2
1.0
-1.962 2.095 -2.645
-3.314 -0.624 1.965
0.929 4.751 3.075
N Na Te Ru
2 1 1 1
direct
0.000 0.500 0.000 N
0.500 0.000 0.000 N
0.500 0.500 0.500 Na
0.000 0.000 0.500 Te
0.000 0.000 0.000 Ru
```



Compound: La2In2Au
Source: Alexandria via LeMat-Bulk
Functional: PBE
Structure: relaxed

Calculated values
ΔE_f: -611 meV/atom
SG: C2/m, No. 12
crystal system: monoclinic
E_tot: -43.3 eV for the cell shown
calculated volume: 288 Å³ per cell
energy above the most stable polymorph in this dataset: 0 meV/atom

Structure (POSCAR):
```
La2In2Au
1.0
4.804 0.000 0.000
2.402 5.713 -0.361
2.402 0.279 10.464
La In Au
4 4 2
direct
0.935 0.249 0.882 La
0.682 0.305 0.331 La
0.065 0.751 0.118 La
0.318 0.695 0.669 La
0.909 0.736 0.445 In
0.091 0.264 0.555 In
0.358 0.174 0.110 In
0.642 0.826 0.890 In
0.388 0.891 0.334 Au
0.612 0.109 0.666 Au
```



Compound: Ca2TaSe
Source: Alexandria via LeMat-Bulk
Functional: PBE
Structure: relaxed

Calculated values
formation energy (no corrections): 0.3523 eV per atom
SG: I4/mmm, No. 139
crystal system: tetragonal
E_tot: -17.9 eV for the cell shown
calculated volume: 96 Å³ per cell

Structure (POSCAR):
```
Ca2TaSe
1.0
5.831 0.020 0.000
2.487 5.274 0.000
-4.159 -2.647 3.114
Ta Ca Se
1 2 1
direct
0.750 0.250 0.500 Ta
0.500 0.500 0.000 Ca
0.000 0.000 0.000 Ca
0.250 0.750 0.500 Se
```



Compound: ErSc3Cd4
Source: Alexandria via LeMat-Bulk
Functional: PBE
Structure: relaxed

Calculated values
ΔE_f: -292 meV/atom
SG: P4/mmm, No. 123
crystal system: tetragonal